CADNA Supports Greater Global Accessibility, Urges Caution

These materials data were left in the entry by mistake
=====
For HOs4, the PBE geometry in Alexandria gives the theoretical powder diffraction line list in this record (Cu Kα).
Peak positions follow from Bragg's law for the DFT cell and can differ from measured ones.

Top 3 peaks for 2θ = 5–70°, sorted by position:
2θ = 40.00°, I = 100; 2θ = 46.52°, I = 49; 2θ = 67.90°, I = 32

Structural model:
```
data_HOs4
_chemical_formula_sum 'H1 Os4'
_cell_length_a 3.9044
_cell_length_b 3.9044
_cell_length_c 3.9044
_cell_angle_alpha 90.00
_cell_angle_beta 90.00
_cell_angle_gamma 90.00
_symmetry_space_group_name_H-M 'P 1'
_symmetry_Int_Tables_number 1
loop_
_symmetry_equiv_pos_as_xyz
'x,y,z'
loop_
_atom_site_label
_atom_site_type_symbol
_atom_site_fract_x
_atom_site_fract_y
_atom_site_fract_z
H1 H 0.0000 0.0000 0.0000
Os1 Os 0.0000 0.0000 0.5000
Os2 Os 0.0000 0.5000 0.0000
Os3 Os 0.5000 0.0000 0.0000
Os4 Os 0.5000 0.5000 0.5000
```
=====

WASHINGTON, November 17, 2009—The Coalition Against Domain Name Abuse (CADNA) supports enhancing the ability of users to navigate the Web in their own languages but urges ICANN to implement protections for Internet users as the organization begins accepting applications for non-Latin script top level domains (IDN ccTLDs).

“The introduction of any new domain extensions – regardless of what language they are in – will increase the chances for bad actors to commit crimes online,” explained CADNA President Josh Bourne. “CADNA is particularly concerned with the fact that the increase in available domain names will increase opportunities for cybersquatters, who exploit Internet users’ trust in brands by registering domain names that are confusingly similar to brand names. To help prevent instances of cybersquatting, ICANN should require enhanced security provisions for the establishment of IDN ccTLDs.”

Abuse will likely come from fraudsters registering pre-existing Latin script names in IDN ccTLDs to cause confusion, thus taking advantage of the change. It is worrisome that while opening up the domain name space to IDN ccTLDs will create new opportunities for fraud, ICANN CEO Rod Beckstrom was quoted in the New York Times as saying that IDN ccTLDs will not increase cybersecurity risks.

== These materials data were left in the entry by mistake ==
+++
Record 1
Computed PXRD pattern of Fe10O11F9 for Cu Kα, from a crystal structure in the Materials Project, relaxed with GGA+U.
Peak positions follow from Bragg's law for the DFT cell and can differ from measured ones.

Main lines, sorted by position (2θ from 10° to 90°):
2θ (°)  I_rel
26.67  100
26.91  98
34.66  80
34.76  27
39.81  18
52.34  30
52.55  30
52.70  42
54.94  17
59.75  18
66.72  26
66.84  20

Crystal structure
```
Fe10O11F9
1.0
4.702 0.000 0.000
0.042 4.710 0.000
0.058 0.033 15.476
Fe O F
10 11 9
Cartesian
0.000 0.000 0.000
0.034 0.295 6.152
2.350 2.238 4.538
2.384 2.268 7.683
2.461 2.410 13.956
2.527 2.394 10.799
2.551 2.517 1.386
4.596 0.189 3.050
4.660 0.221 12.150
4.708 0.222 9.289
0.862 0.999 4.549
0.897 1.014 7.713
0.993 1.084 10.776
1.551 3.398 15.383
3.222 1.511 6.115
3.258 1.576 2.980
3.299 1.595 12.387
3.294 1.559 9.231
3.411 1.521 15.376
3.847 3.908 10.749
3.884 3.937 1.511
0.958 1.002 13.851
0.976 1.046 1.482
1.410 3.374 6.126
1.476 3.428 12.387
1.441 3.406 3.034
1.485 3.397 9.201
3.754 3.865 4.598
3.799 3.870 7.665
3.897 3.924 13.822
```

=====

Record 2
Computed PXRD pattern of Fe5O2F8 for Cu Kα, from a crystal structure in the Materials Project, relaxed with GGA+U.
Peak positions follow from Bragg's law for the DFT cell and can differ from measured ones.

Main lines, sorted by position (2θ from 10° to 90°):
2θ (°)  I_rel
26.14  100
33.55  29
33.72  28
38.52  11
50.95  24
51.06  15
51.31  16
53.73  11
53.84  8
57.65  10
64.79  11
65.11  11

Crystal structure
```
Fe5O2F8
1.0
4.821 0.000 0.000
-0.019 8.033 0.000
-0.032 -3.275 9.594
Fe O F
10 4 16
Cartesian
0.000 0.000 0.000
-0.031 2.223 7.748
0.076 2.379 1.973
0.075 -0.316 5.949
0.281 5.041 3.904
2.474 5.215 1.162
2.488 -0.376 2.989
2.596 -0.688 8.868
2.601 4.794 6.875
2.635 2.241 4.974
1.571 5.830 2.903
4.030 1.649 0.274
4.000 3.918 8.009
4.054 1.361 6.155
1.027 5.773 5.732
1.045 2.791 9.433
1.073 3.153 3.862
1.077 0.248 7.625
1.125 0.479 1.721
1.522 -2.518 8.535
1.545 0.348 4.801
1.533 2.945 6.663
1.565 3.337 0.948
3.505 1.496 3.212
3.516 -1.291 6.956
3.534 1.262 8.999
3.564 4.210 5.032
3.621 7.010 1.294
4.020 4.328 2.345
4.076 -1.152 4.265
```

=====

Record 3
Computed PXRD pattern of Fe5O3F7 for Cu Kα, from a crystal structure in the Materials Project, relaxed with GGA+U.
Peak positions follow from Bragg's law for the DFT cell and can differ from measured ones.

Main lines, sorted by position (2θ from 10° to 90°):
2θ (°)  I_rel
26.11  100
26.73  93
34.22  53
34.35  51
39.07  18
51.49  47
52.10  26
52.37  27
53.71  18
55.08  16
59.08  18
65.79  25

Crystal structure
```
Fe5O3F7
1.0
4.767 0.000 0.000
-0.111 4.775 0.000
-0.077 -0.044 15.636
Fe O F
10 6 14
Cartesian
0.000 0.000 0.000
-0.045 0.219 9.385
0.008 0.158 12.590
0.083 0.239 3.042
2.054 2.613 1.684
2.043 2.538 13.981
2.090 2.364 10.906
2.187 2.509 7.804
2.218 2.490 4.729
4.360 4.737 6.251
0.603 4.008 14.114
0.730 4.022 1.561
1.271 1.554 12.428
1.340 1.633 3.095
1.336 1.636 9.366
3.009 3.341 6.326
0.718 3.979 4.564
+++
== The materials data stop here ==

Overall, ICANN has not sufficiently addressed the cybercrime currently pervading the Internet, and so CADNA urges ICANN to reexamine its current security mechanisms before moving forward with both IDN ccTLDs and new generic top level domain names (gTLDs). Increasing the size of the Internet will not only bolster cybercrime, it will also exacerbate the already difficult task of apprehending bad actors online.

“Unfortunately, ICANN is unable to address these security problems on its own because those dictating its policies are focused on enhancing their financial interests. CADNA believes ICANN should work with the US government and others to establish an outside commission to help it reform,” Bourne said.

Senate Homeland Security and Governmental Affairs Chairman Joseph Lieberman (I-CT) and ranking member Susan Collins (R-ME) recently announced plans to cosponsor a bill addressing cybersecurity issues. CADNA encourages ICANN to work with the Congress in order to ensure a safe, secure Internet worldwide.

The Coalition Against Domain Name Abuse (CADNA) is a 501(c)(6) nonprofit organization dedicated to ending the systemic domain name abuses that plague the Internet today. For more information, please visit